The Wednesday, March 24th program of the Chula Vista Genealogical Society features world-renowned genealogy author and speaker, Henry Z. "Hank" Jones, Jr. on "How Psychic Roots Became an Unsolved Mystery."
# These data records were left in the text by mistake
<<<
## LaBr2 (GGA-PBEsol)

Data for crystalline LaBr2 at its relaxed geometry.

```
data_LaBr2
_chemical_formula_sum 'La4 Br8'
_symmetry_space_group_name_H-M 'C 1 m 1'
_symmetry_Int_Tables_number 8
_cell_length_a 14.485
_cell_length_b 3.969
_cell_length_c 8.019
_cell_angle_alpha 90.00
_cell_angle_beta 122.75
_cell_angle_gamma 90.00
loop_
_symmetry_equiv_pos_as_xyz
'x,y,z'
'x,-y,z'
'x+1/2,y+1/2,z'
'x+1/2,-y+1/2,z'
loop_
_atom_site_label
_atom_site_type_symbol
_atom_site_fract_x
_atom_site_fract_y
_atom_site_fract_z
La1 La 0.000 0.000 0.000
La2 La 0.154 0.500 0.530
Br1 Br 0.081 0.500 0.826
Br2 Br 0.229 0.000 0.344
Br3 Br 0.313 0.000 0.849
Br4 Br 0.471 0.500 0.339
```

Values from the calculation:
Energy relative to the elements, uncorrected, meV per atom: -1768

=====

Below is a PBEsol-optimized structure of Sc3AsRh, with properties calculated at the SCAN level.

Calculated values
M_tot in μB/cell: 0.00
ΔH_f (0 K) in eV/atom: -0.4254
VASP energy in eV/atom: -19.760

CIF file:
```
data_Sc3AsRh
_chemical_formula_sum 'Sc3 As1 Rh1'
_cell_length_a 4.876
_cell_length_b 4.876
_cell_length_c 4.876
_cell_angle_alpha 90.00
_cell_angle_beta 90.00
_cell_angle_gamma 90.00
_symmetry_space_group_name_H-M 'P m -3 m'
_symmetry_Int_Tables_number 221
_symmetry_space_group_name_Hall '-P 4 2 3'
loop_
_atom_site_label
_atom_site_type_symbol
_atom_site_fract_x
_atom_site_fract_y
_atom_site_fract_z
_atom_site_occupancy
Sc1 Sc 0.000 0.000 0.500 1
As1 As 0.500 0.500 0.500 1
Rh1 Rh 0.000 0.000 0.000 1
```

=====

# LiTaIrPt

Crystalline LiTaIrPt at its relaxed geometry (PBE-GGA, the Alexandria database).

a = 4.5771 Å, b = 4.5771 Å, c = 4.5771 Å
α = 126.74°, β = 126.74°, γ = 78.67°
Last column: nearest neighbours and their distance in Å.
Atoms (fractional coordinates):
Li1 0.0000 0.0000 0.0000  4 Ir 2.71, 4 Pt 2.71, 4 Ta 2.90
Ta1 0.5000 0.5000 0.0000  4 Ir 2.71, 4 Pt 2.71, 4 Li 2.90
Ir1 0.2500 0.7500 0.5000  4 Ta 2.71, 4 Li 2.71, 4 Pt 2.90
Pt1 0.7500 0.2500 0.5000  4 Ta 2.71, 4 Li 2.71, 4 Ir 2.90

spin magnetization = 0.00 μB/f.u.
E_form = -617.2 meV per atom
calculated volume = 14.9 Å³ per atom

=====

# 1
Density functional theory data (PBE) for crystalline Ga8IrAu2 at its relaxed geometry.

Calculated values
space group: C2/m (12)
VASP energy: -3.80 eV/atom
Fermi-level density of states: 3.71 states/eV per cell
total magnetization: 0.00 μB/f.u.

a = 4.0508 Å, b = 5.5029 Å, c = 9.6391 Å
α = 105.19°, β = 102.13°, γ = 90.00°
Last column: nearest neighbours and their distance in Å.
Element x y z (fractional)
Ga1 0.3979 0.5952 0.7957  1 Ir 2.52, 2 Au 2.67, 1 Ga 2.74
Ga2 0.6341 0.9473 0.2682  1 Ir 2.62, 2 Au 2.74, 4 Ga 2.74-2.88
Ga3 0.7798 0.7527 0.5597  4 Au 2.73-3.02, 2 Ga 2.83
Ga4 0.9813 0.2575 0.9625  2 Ir 2.55, 1 Ga 2.57
Ga5 0.2202 0.2473 0.4403  4 Au 2.73-3.02, 2 Ga 2.83
Ga6 0.3659 0.0527 0.7318  1 Ir 2.62, 2 Au 2.74, 4 Ga 2.74-2.88
Ga7 0.6021 0.4048 0.2043  1 Ir 2.52, 2 Au 2.67, 1 Ga 2.74
Ga8 0.0187 0.7425 0.0375  2 Ir 2.55, 1 Ga 2.57
>>>
The program starts at 12 noon in the Auditorium at the Chula Vista Civic Center Branch Library in Chula Vista (365 F Street). There will be a brief business meeting before the speaker's presentation.

Some comments about Hank's work:
"Amongst genealogical professionals who spend their days climbing the family tree, whenever something “off the wall” and strange happens that they simply can’t explain, one often hears the phrase “I’m having a Hank Jones moment.” In the course of his own genealogical work, Hank had his own experiences that defied logical interpretation – events the writer Rod Serling might have included in his classic “Twilight Zone” TV series. Serendipitous finds, synchronistic events, intuitive nudges leading him to information “where it shouldn’t have been.” Hank decided to find out if these unusual happenings were occurring just to him or if other family historians encountered these weird events also.
- - -
# 1
The following is a DFT calculation (PBE-GGA) of crystalline Dy2H4S3O12 at its relaxed geometry.

abc: 6.684 6.684 12.626
angles: 101.16 101.16 60.40
Element x y z (fractional)
Dy1 0.181 0.211 0.175
Dy2 0.211 0.181 0.675
Dy3 0.789 0.819 0.325
Dy4 0.819 0.789 0.825
H1 0.051 0.840 0.582
H2 0.160 0.949 0.918
H3 0.294 0.676 0.641
H4 0.324 0.706 0.859
H5 0.676 0.294 0.141
H6 0.706 0.324 0.359
H7 0.840 0.051 0.082
H8 0.949 0.160 0.418
S1 0.257 0.303 0.427
S2 0.303 0.257 0.927
S3 0.337 0.663 0.250
S4 0.663 0.337 0.750
S5 0.697 0.743 0.073
S6 0.743 0.697 0.573
O1 0.038 0.420 0.343
O2 0.104 0.409 0.845
O3 0.167 0.800 0.881
O4 0.170 0.746 0.330
O5 0.182 0.186 0.493
O6 0.186 0.182 0.993
O7 0.200 0.833 0.619
O8 0.254 0.830 0.170
O9 0.375 0.432 0.191
O10 0.409 0.104 0.345
O11 0.420 0.038 0.843
O12 0.432 0.375 0.691
O13 0.568 0.625 0.309
O14 0.580 0.962 0.157
O15 0.591 0.896 0.655
O16 0.625 0.568 0.809
O17 0.746 0.170 0.830
O18 0.800 0.167 0.381
O19 0.814 0.818 0.007
O20 0.818 0.814 0.507
O21 0.830 0.254 0.670
O22 0.833 0.200 0.119
O23 0.896 0.591 0.155
O24 0.962 0.580 0.657

Computed properties:
final energy: -6.334 eV/atom


# 2
The following is a DFT calculation (PBE-GGA) of crystalline DySiHO4 at its relaxed geometry.

abc: 8.858 8.858 8.858
angles: 110.75 110.75 110.75
Element x y z (fractional)
Dy1 0.003 0.228 0.769
Dy2 0.228 0.769 0.003
Dy3 0.306 0.770 0.619
Dy4 0.619 0.306 0.770
Dy5 0.769 0.003 0.228
Dy6 0.770 0.619 0.306
Si1 0.165 0.971 0.374
Si2 0.374 0.165 0.971
Si3 0.454 0.596 0.889
Si4 0.596 0.889 0.454
Si5 0.889 0.454 0.596
Si6 0.971 0.374 0.165
H1 0.120 0.977 0.659
H2 0.295 0.332 0.573
H3 0.332 0.573 0.295
H4 0.573 0.295 0.332
H5 0.659 0.120 0.977
H6 0.977 0.659 0.120
O1 0.069 0.668 0.681
O2 0.069 0.790 0.149
O3 0.071 0.097 0.374
O4 0.095 0.474 0.392
O5 0.097 0.374 0.071
O6 0.103 0.849 0.471
O7 0.149 0.069 0.790
O8 0.258 0.508 0.886
O9 0.374 0.071 0.097
O10 0.392 0.095 0.474
O11 0.426 0.430 0.696
O12 0.430 0.696 0.426
O13 0.471 0.103 0.849
O14 0.474 0.392 0.095
O15 0.477 0.788 0.889
O16 0.508 0.886 0.258
O17 0.668 0.681 0.069
O18 0.681 0.069 0.668
O19 0.696 0.426 0.430
O20 0.788 0.889 0.477
O21 0.790 0.149 0.069
O22 0.849 0.471 0.103
O23 0.886 0.258 0.508
O24 0.889 0.477 0.788

Computed properties:
final energy: -7.417 eV/atom


# 3
The following is a DFT calculation (PBE-GGA) of crystalline DySiHO4 at its relaxed geometry.

abc: 7.662 6.473 6.798
angles: 90.00 112.15 90.00
Element x y z (fractional)
Dy1 0.208 0.139 0.115
Dy2 0.208 0.361 0.615
Dy3 0.792 0.639 0.385
Dy4 0.792 0.861 0.885
Si1 0.245 0.606 0.137
Si2 0.245 0.894 0.637
Si3 0.755 0.106 0.363
Si4 0.755 0.394 0.863
H1 0.466 0.686 0.883
H2 0.466 0.814 0.383
H3 0.534 0.186 0.617
H4 0.534 0.314 0.117
O1 0.100 0.702 0.560
O2 0.100 0.798 0.060
O3 0.203 0.062 0.790
O4 0.203 0.438 0.290
O5 0.276 0.034 0.454
O6 0.276 0.466 0.954
O7 0.461 0.712 0.273
O8 0.461 0.788 0.773
O9 0.539 0.212 0.227
O10 0.539 0.288 0.727
O11 0.724 0.534 0.046
O12 0.724 0.966 0.546
O13 0.797 0.562 0.710
- - -
" He wrote to 200 of the world’s most respected genealogists asking them for input. To date, over 1,500 stories have come back to Hank describing unexplainable experiences that knocked the socks off of his colleagues. These stories make up the core of Hank’s two now-classic books, “Psychic Roots: Serendipity and Intuition in Genealogy,” now in their 9th printing from Genealogical Publishing Company.
"Hank’s talk is chock full of great, fun stories that most every family historian can identify with – experiences that happen to us in libraries, graveyards, churches, and anywhere we are pursuing our ancestors. Hank also talks about NBC-TV filming an episode of “Unsolved Mysteries” based on his books and the worldwide reactions resulting from the broadcast.
"This speech inspires the audience to acknowledge the common feeling we have occasionally of “being led” in our searches – and to go on and overcome those brick walls and blind alleys that pop up as we climb our family tree. We are all kindred spirits remembering and honoring our forebears."
This program is free for all to attend. We do request that you enter through the library Conference Room door in order to register your presence, pick up a copy of the program, and have a snack. There will be refreshments after the meeting also.
Please join CVGS members to hear and enjoy one of the foremost speakers in genealogy circles today! For more information, contact Barbara at 619-477-4140 or